Democratic Blending: The New Model of Dictatorships in Latin America
Dictatorships in 21st century Latin America are increasingly using democracy as a tool to legitimize authority, consolidate power, and repress their citizens. This piece considers the recent examples of Venezuela, Nicaragua, and Honduras.
21st century dictatorships in Latin America are increasingly ‘democratic’. In their various forms and stages, these carefully engineered and gradually implemented regimes do not reject, but are actually using democracy as the most effective way to legitimize their authority and justify their brutal repression.
Unlike the military dictatorships that rejected democracy across the region during the 20th century (e.g., Augusto Pinochet in Chile, Reynaldo Bignone in Argentina, Fidel Castro in Cuba, Gustavo Rojas Pinilla in Colombia, Alfredo Stroessner in Paraguay, Castelo Branco in Brazil, Luis García Meza in Bolivia, Maximiliano Hernández in El Salvador, or Rafael Trujillo in Dominican Republic), modern dictatorships in Latin America use democracy not only to attain but also eventually to retain power and, in the process, legitimize their political authority. This phenomenon can be referred to as “democratic blending”: a masked transformation of democratic institutions, principles, and the rule of law that allows elected yet steadily authoritarian governments to benefit from the appearance of democracy while constructing the rules of a dictatorship.
Governments that successfully push forward this portrayal of democracy often seize the institutional (security forces, branches of government) and non-institutional (media, opposition) structures of power that either limit, supervise, or counterbalance their authority. In turn, the rule of law, once democracy’s prime institution, becomes its most corrosive element. Eventually, this democratic blending leads to an ineluctable yet more lethal effect: the destruction of democracy.
Rather than promoting the will of the people or a social agreement on distribution of power, democracy in this context becomes the perfect masquerade with which to advance the dictator’s will and prevent the distribution of power. This phenomenon can be referred to as “democratic delusion”: an illusory sense of constitutional authority designed to develop disguised dictatorships. Once it blends, democracy is no longer a system of government but a tool of maintaining power for a repressive regime. This piece will discuss three recent examples of these phenomenon in Latin America: Nicaragua, Honduras, and Venezuela.
Autocracy and Brutal Repression in Nicaragua
The case of Nicaragua is revealing. Since the democratic election of Daniel Ortega as President of Nicaragua in 2006, Ortega and his wife, the Vice-President Rosario Murillo, have created one of the most autocratic regimes in the region. After getting control of the National Assembly (by winning 71 out of 92 seats), the Supreme Court (by appointing 11 out of 16 justices), and the Supreme Electoral Council, Ortega’s government successfully promoted a constitutional reform process, enabling him to run for three consecutive terms while reducing the number of votes required to be elected.
At present, opposition in Nicaragua is non-existent. And the only remaining independent force, the students’movement, has faced a violent crack-down by security forces and paramilitary groups all over the country, which in recent weeks has resulted in more than 81 people being killed, 838 injured, and 438 arrested. The UN Office of the High Commissioner for Human Rights in Geneva has called these deaths “unlawful killings” while the Inter-American Commission on Human Rights has insisted on the need of conducting an on-site investigation notwithstanding the government of Nicaragua's rejection.
Systematic Corruption and Authoritarianism in Honduras
Another critical case of the phenomenon discussed earlier is Honduras. Using the power of constitutional appointments, President Juan Orlando Hernández gradually seized control of the Supreme Court of Honduras, which was the only way for him to circumvent the constitutional prohibition on presidential re-election established by Articles 42.5 and 239 of the Honduras Constitution of 1982 in conjunction with Article 330 of the Penal Code, the latter of which criminalizes any attempt to modify the Constitution to that end.
However, thanks to a Supreme Court decision that declared inapplicable such provisions and authorized the indefinite presidential re-election in Honduras, President Hernández did run for a second term, wining the 2017 presidential election.
Hernández’s government has been accused of electoral fraud, systematic corruption, and human rights violations.Yet both political and criminal investigations against his government have been diluted through acts of Congress—another institution Hernández’s government now controls. Worst yet, just as President Ortega has done it in Nicaragua, President Hernández is using state security forces to repress any protest in Honduras. The face of an authoritarian regime in Honduras is finally emerging.
Political Deterrence and Dictatorship in Venezuela
Among all cases of democratic blending in Latin America, Venezuela represents the most endemic one. Following the democratic election of Nicolás Maduro as President of the Bolivarian Republic of Venezuela in 2013, Maduro gained institutional control of the state by using the powers granted by Venezuela’s Constitution of 1999.
After securing the loyalty of all Supreme Court justices through strategic constitutional appointments, President Maduro won the sympathy of the military, security forces, and public officials by increasing their salaries in the mist of the country’s worst economic crisis. Then, using Article 348 of the Constitution, President Maduro called for a Constituent National Assembly (ANC), which not only replaced the National Legislative Assembly—until then controlled by the opposition—but further ordered the removal from office of Maduro’s last standing critics: Venezuela’s Attorney General Luisa Ortega and Zulia’s Governor Juan Pablo Guanipa.
Furthermore, Maduro’s government has ordered the detention of more than 1,300 political prisoners while the ANC has passed laws precluding political parties that did not participate in the 2017 municipal elections—that is, nearly all opposition parties—from participating in the 2018 presidential election; a political and authoritarian move that ended with Nicolás Maduro’s re-election.
**Unrelated to this article: records of crystals:**
~~~
Structure and calculated X-ray diffraction stick pattern of Ho3Zn2Ga9 (a crystal structure in Alexandria, relaxed with PBE; Cu Kα X-rays).
Lines closer than 0.1° are merged.

Top 12 peaks for 2θ = 10–80°, by angle:
- 30.34 deg, intensity 17
- 34.24 deg, intensity 28
- 34.39 deg, intensity 21
- 35.30 deg, intensity 100
- 37.26 deg, intensity 12
- 43.18 deg, intensity 28
- 43.69 deg, intensity 20
- 56.33 deg, intensity 11
- 63.11 deg, intensity 13
- 63.85 deg, intensity 11
- 68.46 deg, intensity 14
- 74.07 deg, intensity 11

Cell and atoms:
Cell: 8.267 8.267 8.267 Å, 150.64 105.00 82.51°
Sites, in units of the cell vectors:
Ho 0.000 0.000 0.000
Ho 0.320 0.320 0.000
Ho 0.680 0.680 0.000
Zn 0.288 0.500 0.788
Zn 0.712 0.500 0.212
Ga 0.037 0.662 0.375
Ga 0.136 0.860 0.276
Ga 0.287 0.662 0.625
Ga 0.417 0.140 0.276
Ga 0.500 0.000 0.500
Ga 0.583 0.860 0.724
Ga 0.713 0.338 0.375
Ga 0.864 0.140 0.724
Ga 0.963 0.338 0.625

* * * * *

# SrSmAlO4
Simulated powder diffraction line list, Cu Kα X-rays. Input: a cell relaxed with PBE.
No peak broadening, texture or thermal motion is included.

Structure:
```
SrSmAlO4
1.0
3.755 0.000 0.000
0.000 3.755 0.000
0.000 0.000 12.355
Sr Sm Al O
2 2 2 8
direct
0.000 0.000 0.000
0.500 0.500 0.500
0.000 0.000 0.716
0.500 0.500 0.216
0.000 0.000 0.358
0.500 0.500 0.858
0.000 0.000 0.195
0.000 0.000 0.523
0.000 0.500 0.348
0.000 0.500 0.848
0.500 0.000 0.348
0.500 0.000 0.848
0.500 0.500 0.023
0.500 0.500 0.695
```

Principal peaks in the range 10° ≤ 2θ ≤ 80°, by angle:
- 2θ 14.3, I 165
- 2θ 24.8, I 584
- 2θ 28.9, I 236
- 2θ 32.3, I 1000
- 2θ 33.8, I 721
- 2θ 45.0, I 520
- 2θ 48.5, I 386
- 2θ 57.7, I 167
- 2θ 59.4, I 369
- 2θ 67.5, I 204

=====

# Al2Sn2O7
Simulated powder diffraction line list, Cu Kα X-rays. Input: a cell relaxed with PBE.
No peak broadening, texture or thermal motion is included.

Structure:
```
Al2Sn2O7
1.0
0.000 4.970 4.970
4.970 0.000 4.970
4.970 4.970 0.000
Al Sn O
4 4 14
direct
0.000 0.000 0.000
0.000 0.000 0.500
0.000 0.500 0.000
0.500 0.000 0.000
0.000 0.500 0.500
0.500 0.000 0.500
0.500 0.500 0.000
0.500 0.500 0.500
0.125 0.125 0.125
0.144 0.144 0.606
0.144 0.606 0.144
0.144 0.606 0.606
0.394 0.394 0.856
0.394 0.856 0.394
0.394 0.856 0.856
0.606 0.144 0.144
0.606 0.144 0.606
0.606 0.606 0.144
0.856 0.394 0.394
0.856 0.394 0.856
0.856 0.856 0.394
0.875 0.875 0.875
```

Principal peaks in the range 10° ≤ 2θ ≤ 80°, by angle:
- 2θ 15.4, I 464
- 2θ 29.8, I 451
- 2θ 31.2, I 1000
- 2θ 36.1, I 196
- 2θ 47.5, I 144
- 2θ 52.0, I 622
- 2θ 54.6, I 122
- 2θ 61.9, I 435
- 2θ 73.1, I 117
- 2θ 76.7, I 92

=====

# Sr2YAlSn2O7
Simulated powder diffraction line list, Cu Kα X-rays. Input: a cell relaxed with PBE.
No peak broadening, texture or thermal motion is included.

Structure:
```
Sr2YAlSn2O7
1.0
-10.627 3.471 2.946
10.627 -3.471 2.946
10.627 3.471 -2.946
Sr Y Al Sn O
4 2 2 4 14
direct
0.072 0.162 0.234
0.072 0.338 0.411
0.928 0.662 0.589
0.928 0.838 0.766
0.052 0.052 0.000
0.052 0.552 0.500
0.377 0.734 0.143
~~~
Maduro’s regime has also muzzled the media through the use, misuse, and abuse of the rule of law. His government has expelled several foreign correspondents, detained at least 66 journalists, and closed 69 media outlets across the country. Additionally, the Constituent National Assembly recently approved a law authorizing the criminal prosecution of individuals and media outlets for posting or broadcasting messages that either “encourage” or “incite” hate, violence, or public disturbance.
The trend of Latin American autocratic and authoritarian governments using democracy as a tool in the process of creating dictatorships exposes critical flaws of democracy as a system of government. The replication of these regimes reveals not only the personal ambition or abuse of power of the leaders discussed here, but also the eventual dissembling of democratic values (freedom of expression), principles (separation of powers), and institutions (free vote) that once inspired, and are synonymous with the notion of democracy.
Jose Mauricio Gaona is a DCL candidate at McGill University’s Faculty of Law, O’Brien Fellow at the McGill Centre for Human Rights, and Saul Hayes Fellow at McGill’s Faculty of Law. He is recipient of the Vanier award from the Social Sciences, Humanities, and Research Council of Canada and the Dean’s Honor Scholarship and Fellowship award from the University of California UCLA School of Law. Jose Mauricio has been an invited lecturer at Yale and McGill Universities as well as an invited panelist at the Universities of Cambridge, Oxford, Ottawa, and National University of Singapore. His research focuses on the intersection between democracy, national security, global migration, and human rights protections.